On February 15, 2021, Christianity Today published an article by Chris Kugler entitled A Plea and Warning for Evangelicalism. Kugler claims that some scholars (apparently including himself) get exasperated trying to live within evangelical circles. What's the problem? According to Kugler it is this:
"It’s because so much of evangelicalism—with respect to philosophy, theology, and hermeneutics—is at least 30 years behind the curve."
He specifically mentions as examples evangelical views on young-earth creationism, women in ministry, Calvinism, and social justice. Evangelicalism, he believes, is not up to date on these topics.
I find it interesting that he mentions these specific issues because there are debates within evangelical circles on all of them: the age of the earth, the role of women in ministry, Calvinist doctrines, and the meaning of social justice. So what does it mean to say that "evangelicalism" is 30 years out of date on these issues? That implies that evangelicalism is some kind of monolithic entity with a single view on these things. It would be helpful to know how Kugler is defining evangelicalism because he appears to be limiting his understanding to certain segments within it.
Evangelicalism has always been notoriously difficult to define. I sometimes wonder if it has been reduced to a mere label with no real meaningful content any longer. Because it covers such a wide spectrum of views and because there is no agreed upon statement of faith that all self-professing evangelicals agree upon, it is a slippery notion.
As a confessionally Reformed Christian, I also find it interesting that he lists Calvinism among the four things evangelicals are behind the times on. What does that even mean? I am aware that there are some evangelicals who hold to the so-called "Five Points of Calvinism" without understanding the ecumenical creeds, but Calvinism (or more properly Reformed theology) has a confessional heritage that includes the ecumenical creeds. Reformed theology has historically taught classical Nicene Trinitarianism and Chalcedonian Christology. I urge those evangelicals who have only been exposed to bits and pieces of "Calvinism" to acquaint themselves with the Reformed confessional heritage. The Three Forms of Unity include the Belgic Confession, the Heidelberg Catechism, and the Canons of Dordt. The Westminster Standards include the Westminster Confession, the Larger Catechism, and the Shorter Catechism.
- - -
An optimized crystal structure of PmZnAg2. Source: the Materials Project, functional PBE-GGA.

Computed properties:
Symmetry: No. 225
Calculated total energy (eV/atom): -3.139
Formation enthalpy at 0 K (eV/atom): -0.220

a = 4.9392 Å, b = 4.9392 Å, c = 4.9392 Å
α = 60.00°, β = 60.00°, γ = 60.00°
Element x y z (fractional)
Pm: 0.5000 0.5000 0.5000
Zn: 0.0000 0.0000 0.0000
Ag: 0.2500 0.2500 0.2500
Ag: 0.7500 0.7500 0.7500

---

An optimized crystal structure of PmZn2Ag. Source: the Materials Project, functional PBE-GGA.

Computed properties:
Symmetry: No. 225
Calculated total energy (eV/atom): -2.826
Formation enthalpy at 0 K (eV/atom): -0.300

a = 4.8279 Å, b = 4.8279 Å, c = 4.8279 Å
α = 60.00°, β = 60.00°, γ = 60.00°
Element x y z (fractional)
Ag: 0.0000 0.0000 0.0000
Zn: 0.2500 0.2500 0.2500
Zn: 0.7500 0.7500 0.7500
Pm: 0.5000 0.5000 0.5000

---

An optimized crystal structure of PrAg. Source: the Materials Project, functional PBE-GGA.

Computed properties:
Symmetry: No. 221
Calculated total energy (eV/atom): -4.051
Formation enthalpy at 0 K (eV/atom): -0.244

a = 3.7964 Å, b = 3.7964 Å, c = 3.7964 Å
α = 90.00°, β = 90.00°, γ = 90.00°
Element x y z (fractional)
Ag: 0.5000 0.5000 0.5000
Pr: 0.0000 0.0000 0.0000

----------

1.
The following is a GGA-PBE calculation of a relaxed structure of Nd2PbS4, from the Materials Project database.

Structure (CIF):
```
data_Nd2PbS4
_cell_length_a 7.517
_cell_length_b 7.517
_cell_length_c 7.517
_cell_angle_alpha 109.41
_cell_angle_beta 109.41
_cell_angle_gamma 109.59
_symmetry_space_group_name_H-M 'P 1'
_symmetry_Int_Tables_number 1
loop_
_symmetry_equiv_pos_as_xyz
'x,y,z'
loop_
_atom_site_label
_atom_site_type_symbol
_atom_site_fract_x
_atom_site_fract_y
_atom_site_fract_z
S1 S 0.730 0.135 0.748
S2 S 0.387 0.983 0.252
S3 S 0.233 0.137 0.752
S4 S 0.385 0.480 0.248
S5 S 0.863 0.615 0.096
S6 S 0.520 0.767 0.904
S7 S 0.865 0.613 0.596
S8 S 0.017 0.270 0.404
Nd1 Nd 0.756 0.875 0.381
Nd2 Nd 0.625 0.244 0.119
Nd3 Nd 0.125 0.506 0.881
Nd4 Nd 0.494 0.375 0.619
Pb1 Pb 0.250 0.750 0.500
Pb2 Pb 0.000 0.000 0.000
```

Computed properties:
**Maximum piezoelectric response**: 0.51 C/m²


2.
The following is a GGA-PBE calculation of a relaxed structure of Nd2Si2PbS8, from the Materials Project database.

Structure (CIF):
```
data_Nd2Si2PbS8
_cell_length_a 9.053
_cell_length_b 9.053
_cell_length_c 10.243
_cell_angle_alpha 65.20
_cell_angle_beta 65.20
_cell_angle_gamma 60.32
_symmetry_space_group_name_H-M 'P 1'
_symmetry_Int_Tables_number 1
loop_
_symmetry_equiv_pos_as_xyz
'x,y,z'
loop_
_atom_site_label
_atom_site_type_symbol
_atom_site_fract_x
_atom_site_fract_y
_atom_site_fract_z
S1 S 0.612 0.282 0.564
S2 S 0.913 0.400 0.240
S3 S 0.790 0.533 0.571
S4 S 0.714 0.398 0.947
S5 S 0.398 0.714 0.447
S6 S 0.533 0.790 0.071
S7 S 0.438 0.226 0.947
S8 S 0.098 0.566 0.760
S9 S 0.282 0.612 0.064
S10 S 0.566 0.098 0.260
S11 S 0.111 0.068 0.046
S12 S 0.400 0.913 0.740
S13 S 0.886 0.976 0.927
S14 S 0.226 0.438 0.447
- - -
Kugler then goes on to say:
"The sad thing is, most Biblical scholars and Theologians I know—many of whom are conservative or moderate and deeply love the Church and care about its future—agree: The brand of evangelicalism that exists in many conservative evangelical churches has about 30 years of life left. Its national influence has been waning for decades."
Three observations. First, if you don't get a strong sense of déjà vu reading this then you have not read much in the history of western Christianity over the last couple of centuries. Those who consider themselves not to be "out of date" have been proclaiming the near demise of conservative Christianity for centuries, while what we actually watch die are the mainline ("up to date") churches and various theological fads that come and go so fast it makes your head spin. Second, note the nature of the appeal: "most Biblical scholars and Theologians I know. . . agree." In other words, all the really smart people agree. I can't read Kugler's motives, and this may not be intentional, but this is effectively an appeal to the reader's pride and vanity, and it is a patronizing one at that. Third, the final sentence points to "national influence" as a factor. Kugler needs to be more specific about what he means. The faithfulness of the Church is not measured by its political influence if that is what he means.
Kugler then makes three points:
"Training is important. You should not sit under a pastor who has no serious biblical or theological training (and there are, of course, many different kinds of training)."
The Reformed tradition wouldn't disagree in principle, although I suspect, Kugler might not mean the same thing I mean regarding the meaning of the word "serious." Kugler continues:
"MacArthur, Sproul, Piper, etc., are not reliable Bible scholars or Theologians. There’s a reason why they’re almost universally regarded in academia as unreliable biblical or theological guides. It’s not because “academia is liberal”. It’s because most of the experts recognize that folks like this—however much good they have done for the kingdom of God—don’t demonstrate the necessary competencies to handle complex historical, biblical, and theological issues with skill and nuance. There’s a reason why many have flocked to Wright, McKnight, Bird, etc. It’s not just because they’ve found in these scholars a tasteful balance and nuance. It’s because they recognize a requisite competency."
I don't know what kind of training MacArthur has, but John Piper received a D.Theol. in New Testament from the University of Munich. Has Kugler read Piper's dissertation? To argue that he doesn't have the necessary competency is simply condescending arrogance. It's basically assuming that anyone who didn't complete their Ph.D. studies in the last five years is not to be trusted. Dr. Sproul studied under one of the twentieth century's most influential Reformed theologians, G.C. Berkouwer. Yes, this was in the middle of the twentieth century, but as with Piper, this doesn't automatically render someone incompetent and unreliable. Dr. Sproul chose to focus his ministry on the education of the laity. Dr. Piper was called to be a pastor. Their focus was not on churning out journal articles. Scholars who devote themselves to academics and writing journal articles are needed in the church, but those who devote themselves almost exclusively to such things should not be condescending toward those who are on the actual frontlines of ministry in the church. That's simply intellectual pride and arrogance, and Paul condemned it (1 Corinthians 12:21–26).
Kugler continues:
"Rediscover the great ecumenical creeds of the church as the markers of genuine Christianity. Stop making your church’s doctrine number 89 a “gospel issue”."
Those in the Reformed tradition never forgot them. I too urge evangelicals to study them.
After a few more exhortations, Kugler concludes with the following words:
"And, if you want to retain the specifically Reformed influence, I would say this:
More (e.g.) Vanhoozer, Moo, and Schreiner, and less MacArthur, Sproul, and Piper, etc.
But, better yet, more Wright, more McKnight (and now Barringer!), more Richter, more McCaulley, more Bates, more Edwards (Dennis, not Jonathan), more Warren (Tish, not Rick), and more Bird, just to name a few."
C.S. Lewis had a term for this basic mindset. He called it "chronological snobbery." Forget the old. The newer is always better. Theology, however, is not like medical science. No one wants to undergo surgery by someone who was trained in 13th century medicine, but theology is not the same kind of thing. In theology, there is a reason why certain theologians are still read and studied centuries after their deaths. If the Lord tarries, Augustine and Aquinas, Calvin and Edwards, will still be relevant 500 years from now. They stand the test of time.
Can the same be said of the authors Kugler mentions? Will Christians still be reading and reflecting on Richter, McCaulley, Bates, Warren, and Bird five hundred years from now or even fifty years from now? Go back fifty years, and look at who every young scholar was raving about at the time. Most of those names are completely forgotten, and their books are on library shelves where they haven't been touched in decades. Some of these authors' works might withstand the test of time, but only time itself will tell, and that's one reason why the study of the works that have already proven themselves is so important. We live in a faddish, consumer culture always ready to move to the next new thing. And what's in today is out tomorrow. In the midst of this constantly changing culture, biblical truth and good theology are an unchanging anchor.
Christian pastors and teachers should read the newer scholars, but to make this an either/or choice is not helpful. Those who neglect the older works find themselves constantly chasing after the ever-changing theological fads in a never-ending effort to stay "relevant." It's a recipe for being blown around by every wind of doctrine.
Kugler's plea for evangelicals echoes pleas made since the Enlightenment. Get with it. The past is the past. We need to be modern. And on and on.
I have my own plea and warning for evangelicalis. Beware of pleas and warnings that appeal to your pride and vanity.
Image by Dimitris Vetsikas from Pixabay